Entries:
____________
Record 1
Below is a 13-piece molecular cluster, C20H66N2O13 overall at a distorted geometry, with properties calculated with the ωB97M-V functional and the def2-TZVPD basis.

Energy above the lowest of the compared OMol25 structures with the same formula, charge and spin in kcal/mol: 77.41
E_LUMO in Eh: -0.00576
Gap between HOMO and LUMO in eV: 9.01
HOMO level in eV: -9.2

Cartesian coordinates (Å):
1 O 1.464 -2.288 4.489
2 O -1.740 -2.213 3.198
3 O -5.095 -1.741 -0.314
4 O 3.266 -4.620 0.670
5 O 1.238 4.637 1.921
6 O 0.189 0.851 -0.112
7 O -1.666 3.072 3.921
8 O 2.940 2.489 -0.917
9 O -2.047 -2.726 -1.063
10 O 2.809 0.237 0.852
11 O 2.315 -0.526 -4.243
12 O -2.490 0.442 -5.417
13 O -2.067 2.606 -0.939
14 N 4.783 0.294 2.180
15 N 4.880 -0.660 0.201
16 C -2.864 -3.166 -2.121
17 C 2.818 2.772 -3.215
18 C -1.404 3.326 -1.958
19 C 2.718 -3.281 0.563
20 C 1.060 -1.476 -2.548
21 C 3.015 1.773 -2.121
22 C 1.649 -1.689 -3.938
23 C 1.211 -3.350 0.631
24 C 0.660 0.053 4.423
25 C -2.219 -0.165 -3.144
26 C -0.730 -0.089 0.223
27 C -4.337 0.098 0.850
28 C -2.173 1.984 3.169
29 C -2.430 -1.638 4.295
30 C -0.254 3.988 -1.177
31 C -1.680 -0.226 -4.526
32 C -4.587 -0.511 -0.523
33 C 4.134 -0.006 1.066
34 C 1.002 3.249 1.998
35 C 1.375 -1.088 3.670
36 H 1.907 3.177 -3.158
37 H 2.317 0.917 -1.936
38 H 0.838 -2.307 0.729
39 H -0.288 -0.082 4.891
40 H 1.773 0.023 -4.750
41 H 0.318 4.635 -1.841
42 H -3.599 -0.523 -1.069
43 H -2.767 1.321 -5.008
44 H -1.787 0.146 -0.178
45 H 1.868 2.714 1.688
46 H 4.581 -1.096 -0.725
47 H -3.867 -2.808 -2.047
48 H 0.553 -0.499 -2.403
49 H 2.423 -0.778 3.448
50 H -2.908 1.506 3.797
51 H -2.590 -0.596 4.208
52 H -0.581 4.610 -0.334
53 H -1.001 2.759 -2.803
54 H 1.718 -1.372 -1.692
55 H 5.829 0.177 2.340
56 H -1.356 1.265 2.997
57 H 5.809 -1.048 0.509
58 H -0.707 -0.434 1.292
59 H -2.001 3.103 4.762
60 H 0.758 2.859 3.030
61 H -1.336 2.173 -0.423
62 H -0.351 -1.018 -0.215
63 H 1.928 -2.985 4.117
64 H 0.142 2.972 1.377
65 H 1.317 0.273 5.298
66 H -3.979 1.063 0.897
67 H 3.616 3.502 -3.182
68 H -2.017 -1.911 5.302
69 H -1.535 -1.259 -4.867
70 H 2.897 2.291 -4.105
71 H 4.026 1.371 -2.268
72 H 0.478 3.237 -0.724
73 H 0.709 1.019 3.823
74 H -5.077 0.141 -1.246
75 H -3.426 -2.153 4.127
76 H -5.165 0.066 1.532
77 H -2.093 0.842 -2.829
78 H 0.856 -1.196 2.729
79 H -2.958 -4.268 -2.043
80 H -2.426 -3.005 -0.257
81 H -3.652 -0.459 1.521
82 H 2.316 -2.465 -3.935
83 H -5.373 -2.043 -1.231
84 H -1.578 -0.793 -2.533
85 H 0.351 -2.216 -2.280
86 H -1.884 4.191 -2.275
87 H 0.846 -1.756 -4.744
88 H 3.104 -2.755 -0.324
89 H -3.166 -0.474 -3.120
90 H 0.782 -3.993 1.344
91 H 3.074 1.895 -0.165
92 H 0.879 -3.833 -0.225
93 H 0.403 5.077 2.166
94 H -2.623 2.183 2.256
95 H 3.064 -2.789 1.526
96 H 4.181 0.823 2.877
97 H -0.710 0.192 -4.535
98 H 4.178 -4.637 0.389
99 H 1.021 0.474 0.173
100 H -2.536 -2.848 -3.077
101 H -1.265 -3.014 3.358

Atom charges from the Löwdin analysis, given in e for atoms 1 to 99:
1. O -0.0589
2. O -0.1345
3. O -0.0626
4. O -0.0841
5. O -0.1035
6. O -0.1222
7. O -0.0762
8. O -0.0973
9. O -0.1001
10. O -0.1090
11. O -0.0577
12. O -0.0628
13. O -0.1033
14. N 0.1497
15. N 0.1496
16. C -0.1399
17. C -0.0496
18. C -0.2922
19. C -0.2900
20. C -0.0772
21. C -0.3204
22. C -0.2860
23. C -0.0701
24. C -0.0651
25. C -0.0812
26. C -0.1842
27. C -0.0666
28. C -0.1345
29. C -0.1503
30. C -0.0944
31. C -0.3596
32. C -0.3738
33. C -0.6055
34. C -0.1755
35. C -0.2777
36. H 0.0219
37. H 0.0966
38. H 0.0676
39. H 0.0426
40. H 0.0507
41. H 0.0715
42. H 0.0767
43. H 0.1284
44. H 0.0966
45. H 0.0527
46. H 0.1517
47. H 0.0436
48. H 0.0697
49. H 0.0937
50. H 0.0757
51. H 0.0262
52. H 0.0768
53. H 0.1026
54. H 0.0546
55. H 0.1542
56. H 0.0591
57. H 0.1382
58. H 0.0807
59. H 0.0297
60. H 0.0666
61. H 0.0492
62. H 0.0405
63. H 0.0298
64. H 0.0562
65. H 0.0840
66. H 0.0266
67. H 0.0961
68. H 0.0988
69. H 0.1172
70. H 0.0362
71. H 0.1065
72. H 0.0677
73. H 0.0703
74. H 0.1216
75. H 0.0970
76. H 0.0714
77. H 0.0605
78. H 0.0623
79. H 0.1002
____________

Assignment:
Next, quote the listing further above from the first line to the one with "32." without additions.

Response:
Record 1
Below is a 13-piece molecular cluster, C20H66N2O13 overall at a distorted geometry, with properties calculated with the ωB97M-V functional and the def2-TZVPD basis.

Energy above the lowest of the compared OMol25 structures with the same formula, charge and spin in kcal/mol: 77.41
E_LUMO in Eh: -0.00576
Gap between HOMO and LUMO in eV: 9.01
HOMO level in eV: -9.2

Cartesian coordinates (Å):
1 O 1.464 -2.288 4.489
2 O -1.740 -2.213 3.198
3 O -5.095 -1.741 -0.314
4 O 3.266 -4.620 0.670
5 O 1.238 4.637 1.921
6 O 0.189 0.851 -0.112
7 O -1.666 3.072 3.921
8 O 2.940 2.489 -0.917
9 O -2.047 -2.726 -1.063
10 O 2.809 0.237 0.852
11 O 2.315 -0.526 -4.243
12 O -2.490 0.442 -5.417
13 O -2.067 2.606 -0.939
14 N 4.783 0.294 2.180
15 N 4.880 -0.660 0.201
16 C -2.864 -3.166 -2.121
17 C 2.818 2.772 -3.215
18 C -1.404 3.326 -1.958
19 C 2.718 -3.281 0.563
20 C 1.060 -1.476 -2.548
21 C 3.015 1.773 -2.121
22 C 1.649 -1.689 -3.938
23 C 1.211 -3.350 0.631
24 C 0.660 0.053 4.423
25 C -2.219 -0.165 -3.144
26 C -0.730 -0.089 0.223
27 C -4.337 0.098 0.850
28 C -2.173 1.984 3.169
29 C -2.430 -1.638 4.295
30 C -0.254 3.988 -1.177
31 C -1.680 -0.226 -4.526
32 C -4.587 -0.511 -0.523
33 C 4.134 -0.006 1.066
34 C 1.002 3.249 1.998
35 C 1.375 -1.088 3.670
36 H 1.907 3.177 -3.158
37 H 2.317 0.917 -1.936
38 H 0.838 -2.307 0.729
39 H -0.288 -0.082 4.891
40 H 1.773 0.023 -4.750
41 H 0.318 4.635 -1.841
42 H -3.599 -0.523 -1.069
43 H -2.767 1.321 -5.008
44 H -1.787 0.146 -0.178
45 H 1.868 2.714 1.688
46 H 4.581 -1.096 -0.725
47 H -3.867 -2.808 -2.047
48 H 0.553 -0.499 -2.403
49 H 2.423 -0.778 3.448
50 H -2.908 1.506 3.797
51 H -2.590 -0.596 4.208
52 H -0.581 4.610 -0.334
53 H -1.001 2.759 -2.803
54 H 1.718 -1.372 -1.692
55 H 5.829 0.177 2.340
56 H -1.356 1.265 2.997
57 H 5.809 -1.048 0.509
58 H -0.707 -0.434 1.292
59 H -2.001 3.103 4.762
60 H 0.758 2.859 3.030
61 H -1.336 2.173 -0.423
62 H -0.351 -1.018 -0.215
63 H 1.928 -2.985 4.117
64 H 0.142 2.972 1.377
65 H 1.317 0.273 5.298
66 H -3.979 1.063 0.897
67 H 3.616 3.502 -3.182
68 H -2.017 -1.911 5.302
69 H -1.535 -1.259 -4.867
70 H 2.897 2.291 -4.105
71 H 4.026 1.371 -2.268
72 H 0.478 3.237 -0.724
73 H 0.709 1.019 3.823
74 H -5.077 0.141 -1.246
75 H -3.426 -2.153 4.127
76 H -5.165 0.066 1.532
77 H -2.093 0.842 -2.829
78 H 0.856 -1.196 2.729
79 H -2.958 -4.268 -2.043
80 H -2.426 -3.005 -0.257
81 H -3.652 -0.459 1.521
82 H 2.316 -2.465 -3.935
83 H -5.373 -2.043 -1.231
84 H -1.578 -0.793 -2.533
85 H 0.351 -2.216 -2.280
86 H -1.884 4.191 -2.275
87 H 0.846 -1.756 -4.744
88 H 3.104 -2.755 -0.324
89 H -3.166 -0.474 -3.120
90 H 0.782 -3.993 1.344
91 H 3.074 1.895 -0.165
92 H 0.879 -3.833 -0.225
93 H 0.403 5.077 2.166
94 H -2.623 2.183 2.256
95 H 3.064 -2.789 1.526
96 H 4.181 0.823 2.877
97 H -0.710 0.192 -4.535
98 H 4.178 -4.637 0.389
99 H 1.021 0.474 0.173
100 H -2.536 -2.848 -3.077
101 H -1.265 -3.014 3.358

Atom charges from the Löwdin analysis, given in e for atoms 1 to 99:
1. O -0.0589
2. O -0.1345
3. O -0.0626
4. O -0.0841
5. O -0.1035
6. O -0.1222
7. O -0.0762
8. O -0.0973
9. O -0.1001
10. O -0.1090
11. O -0.0577
12. O -0.0628
13. O -0.1033
14. N 0.1497
15. N 0.1496
16. C -0.1399
17. C -0.0496
18. C -0.2922
19. C -0.2900
20. C -0.0772
21. C -0.3204
22. C -0.2860
23. C -0.0701
24. C -0.0651
25. C -0.0812
26. C -0.1842
27. C -0.0666
28. C -0.1345
29. C -0.1503
30. C -0.0944
31. C -0.3596
32. C -0.3738